Book Writer & Publisher: 
Jon Charles. Oak Hills Press
Peter Chu, Kansai University

[Jon Charles. Oak Hills Press, 2017. p. 142. ¥2,800. ISBN: 978-4-9909741-0-7.]

The English Gym is a topic-based EFL student coursebook that provides engaging topics relevant to Japanese university students that encourages conversation while introducing them to copious amounts of real-world vocabulary items. Although it is aimed at lower-intermediate levels, its flexibility allows teachers to use it with higher-level classes as well.

The textbook is well set up for a 15-week term. Each of its 20 units is comprised of four pages following the same format: a listening activity on the first page, vocabulary and accompanying exercises on the second, a colour-coded transcript on the third, and an interview (i.e., discussion) page on the last.

The listening task on the first page is an interview-format dialogue with a gap-fill activity that includes 10 missing words found in the word bank. These same questions are used as starting points for students to expand on in the later discussion. The dialogue itself is not terribly challenging for higher-level classes, but there are often a few things that are hard for most students to catch. One minor complaint I have is that because of its interview format, each question is preceded by the interviewer announcing the question number. While lower-level students will likely find this helpful, students will often parrot this and state the number during their discussion, which makes conversation feel somewhat mechanical.

The voice acting in each unit’s dialogue is something I really appreciate. There is always one native English speaker and one Japanese user of the language. I have always disliked having two native speakers of English, with one pretending to be a learner. With this, students have a real-world model where they can hear proficient second-language users. As Medgyes (1992) notes, “only non-NESTs [native English speaking teachers] can serve as imitable models of the successful learner of English” (p. 346), as native speaker models are nearly unattainable. Likewise, Murphy (2014) encourages incorporation of “intelligible, comprehensible, non-native English speech samples” (p. 267), and Rattanaphumma (2018) shows that exposure to competent language users from the same background serves to motivate students and promote “a positive vision towards their ideal L2 [second language] self” (p. 137).

The vocabulary sections are very thorough, including useful phrases for discussion as well as footnotes for the dialogue transcript. Both sets include a Japanese glossary. Many of the items are colloquial phrases, fillers, and discourse markers students might not otherwise have explicit exposure to.

In the middle of each lesson, there is either some kind of game students can play (e.g., 20 questions) or a common mistakes section. I appreciate both of these, as they are things that I usually try to incorporate into my lessons.

The interview page invites students to talk using the same questions from the dialogue. The transcript on the facing page enables students to check if they need help with how to respond, as well as giving them cues on what follow-up questions they can use. Students are encouraged to take notes and then write (and present) their own conversation using the space provided.

== Data records that have nothing to do with the text ==
........
(1)
Density functional theory data (GGA-PBE) for Tm5CoSn after structural relaxation.

POSCAR file:
```
Tm5CoSn
1.0
5.4351 -3.3166 0.0000
5.4351 3.3166 0.0000
-3.6279 0.0000 10.3905
Tm Co Sn
10 2 2
Cartesian
0.0039 1.2429 6.6377
2.7141 3.1388 7.7928
0.6597 1.1714 9.9587
1.8179 -1.2429 1.4425
4.7686 1.1714 5.6270
2.4737 -1.1714 4.7635
5.4244 1.2429 8.9480
6.5825 -1.1714 0.4317
4.5281 -3.1388 2.5976
7.2383 -1.2429 3.7528
0.0000 0.0000 0.0000
-1.8139 0.0000 5.1952
4.5281 0.1933 2.5976
2.7141 -0.1933 7.7928
```

Properties
For the formation energy, the calculation gives -0.18 eV/atom. The final energy comes out at -0.182 Ha/atom.



(2)
Density functional theory data (GGA-PBE) for TmCo4Sn4 after structural relaxation.

POSCAR file:
```
TmCo4Sn4
1.0
8.2769 0.0000 0.0000
0.0000 8.2769 0.0000
0.0000 0.0000 5.1580
Tm Co Sn
2 8 8
Cartesian
2.0692 2.0692 1.2895
6.2077 6.2077 3.8685
0.4416 4.9627 3.3183
0.8242 7.8353 0.7392
3.3142 4.5800 0.7392
3.6969 7.4527 3.3183
4.5800 0.8242 1.8398
4.9627 3.6969 4.4188
7.4527 0.4416 4.4188
7.8353 3.3142 1.8398
0.7730 5.2602 0.7435
1.1218 7.5039 3.3225
3.0167 4.9115 3.3225
3.3654 7.1551 0.7435
4.9115 1.1218 4.4145
5.2602 3.3654 1.8355
7.1551 0.7730 1.8355
7.5039 3.0167 4.4145
```

Properties
For the formation energy, the calculation gives 0.07 eV/atom. The final energy comes out at -0.197 Ha/atom.



(3)
Density functional theory data (GGA-PBE) for TmCo2Sn after structural relaxation.

POSCAR file:
```
TmCo2Sn
1.0
4.4264 0.0000 0.0000
0.0000 4.4264 0.0000
0.0000 0.0000 3.3231
Tm Co Sn
1 2 1
Cartesian
0.0000 0.0000 0.0000
0.0000 2.2132 1.6615
2.2132 0.0000 1.6615
2.2132 2.2132 0.0000
```

Properties
For the formation energy, the calculation gives -0.21 eV/atom. The final energy comes out at -0.216 Ha/atom.
........
== Here the text continues ==

At the back of the book there are communication crosswords for the students to practice vocabulary related to each unit, which my students always enjoy. You will also find translations of the dialogues and thorough instructions and materials regarding oral testing and presentations.

The publisher’s website ( is extremely handy and robust, with the complete textbook online (including the audio) as well as helpful tools such as background music playlists, stopwatches, and links to other resources, for example, online quizzes for assessment, printable quizzes, Kahoot! games, and Quizlet. I like to end classes with these latter two games, which the students absolutely love. The publisher has recently released an online digital workbook, which automates much of the exercises and homework. One interesting feature of the workbook is that it records students’ spoken answers and analyzes the transcriptions for their answers.

Finally, there are a few potential concerns. Firstly, although I was initially put off by the length of the interviews, they serve to let students hear how the questions can be used and answered, so I always incorporate them. Another small issue is that there are no grammar sections or structures that are taught or drilled. If you like explicit grammar instruction, you will have to find supplements. Lastly, there are no warm-up questions included to activate topic schema.

All in all, I really like The English Gym and highly recommend it. Students always enjoy the conversations from each unit, and the plethora of fun activities allows the teacher to create variety in their lessons.



Medgyes, P. (1992). Native or non-native: Who’s worth more?. ELT Journal, 46(4), 340–349.

Murphy, J. M. (2014). Intelligible, comprehensible, non-native models in ESL/EFL pronunciation teaching. System, 42, 258–269.

Rattanaphumma, R. (2018). The exploration of ideal L2 self and ought to L2 self through the lens of teaching materials. Kasem Bundt Journal19(June), 126–143.